Wandering and Wanderers

The speakers of Wordsworth’s poems are inveterate wanderers: they roam solitarily, they travel over the moors, they take private walks through the highlands of Scotland. Active wandering allows the characters to experience and participate in the vastness and beauty of the natural world. Moving from place to place also allows the wanderer to make discoveries about himself. In “I travelled among unknown men” (1807), the speaker discovers his patriotism only after he has traveled far from England. While wandering, speakers uncover the visionary powers of the mind and understand the influence of nature, as in “I wandered lonely as a cloud” (1807). The speaker of this poem takes comfort in a walk he once took after he has returned to the grit and desolation of city life. Recollecting his wanderings allows him to transcend his present circumstances. Wordsworth’s poetry itself often wanders, roaming from one subject or experience to another, as in The Prelude. In this long poem, the speaker moves from idea to idea through digressions and distractions that mimic the natural progression of thought within the mind.

Read more about wandering in Virgil’s The Aeneid.


Memory allows Wordsworth’s speakers to overcome the harshness of the contemporary world. Recollecting their childhoods gives adults a chance to reconnect with the visionary power and intense relationship they had with nature as children. In turn, these memories encourage adults to re-cultivate as close a relationship with nature as possible as an antidote to sadness, loneliness, and despair. The act of remembering also allows the poet to write: Wordsworth argued in the 1802 preface to Lyrical Ballads that poetry sprang from the calm remembrance of passionate emotional experiences. Poems cannot be composed at the moment when emotion is first experienced. Instead, the initial emotion must be combined with other thoughts and feelings from the poet’s past experiences using memory and imagination. The poem produced by this time-consuming process will allow the poet to convey the essence of his emotional memory to his readers and will permit the readers to remember similar emotional experiences of their own.

Vision and Sight

Data records, kept here for reference.
'''
Below is Pm2S3 after structural relaxation, with properties calculated at the GGA-PBE level.

Mass density ... 4.62 g cm⁻³
Space group ... R-3c (167)
Raw total energy ... -6.403 eV per atom

abc: 7.5223 7.5223 7.5223
angles: 56.66 56.66 56.66
Fractional coordinates of all 10 atoms:
Pm1 0.8530 0.8530 0.8530
Pm2 0.6470 0.6470 0.6470
Pm3 0.3530 0.3530 0.3530
Pm4 0.1470 0.1470 0.1470
S1 0.9536 0.2500 0.5464
S2 0.2500 0.5464 0.9536
S3 0.5464 0.9536 0.2500
S4 0.4536 0.0464 0.7500
S5 0.7500 0.4536 0.0464
S6 0.0464 0.7500 0.4536

---

Below is U5O11 after structural relaxation, with properties calculated at the GGA-PBE level.

Mass density ... 11.40 g cm⁻³
Space group ... C2/m (12)
Raw total energy ... -10.070 eV per atom
Total magnetization ... 6.8 μB per formula unit

abc: 3.8336 3.8336 15.7282
angles: 82.99 82.99 60.37
Fractional coordinates of all 16 atoms:
U1 0.2974 0.2974 0.5897
U2 0.8956 0.8956 0.7987
U3 0.5000 0.5000 0.0000
U4 0.1044 0.1044 0.2013
U5 0.7026 0.7026 0.4103
O1 0.9380 0.9380 0.6636
O2 0.2424 0.2424 0.7557
O3 0.5452 0.5452 0.8517
O4 0.8488 0.8488 0.9509
O5 0.7576 0.7576 0.2443
O6 0.1512 0.1512 0.0491
O7 0.4548 0.4548 0.1483
O8 0.3573 0.3573 0.4329
O9 0.0620 0.0620 0.3364
O10 0.0000 0.0000 0.5000
O11 0.6427 0.6427 0.5671

---

Below is Zr2P3H4NO12 after structural relaxation, with properties calculated at the GGA-PBE level.

Mass density ... 2.91 g cm⁻³
Piezoelectric modulus e_max ... 0.5 C/m²
Space group ... R3c (161)
Raw total energy ... -7.421 eV per atom
Total magnetization ... 0.0 μB per formula unit

abc: 9.6811 9.6811 9.6811
angles: 54.14 54.14 54.14
Fractional coordinates of all 44 atoms:
Zr1 0.1514 0.1514 0.1514
Zr2 0.3495 0.3495 0.3495
Zr3 0.6514 0.6514 0.6514
Zr4 0.8495 0.8495 0.8495
P1 0.7486 0.0372 0.4669
P2 0.0372 0.4669 0.7486
P3 0.4669 0.7486 0.0372
P4 0.5372 0.2486 0.9669
P5 0.9669 0.5372 0.2486
P6 0.2486 0.9669 0.5372
H1 0.4640 0.4640 0.4640
H2 0.6463 0.4548 0.4607
H3 0.4548 0.4607 0.6463
H4 0.4607 0.6463 0.4548
H5 0.9548 0.1463 0.9607
H6 0.9607 0.9548 0.1463
H7 0.1463 0.9607 0.9548
H8 0.9640 0.9640 0.9640
N1 0.0055 0.0055 0.0055
N2 0.5055 0.5055 0.5055
O1 0.2466 0.1398 0.5135
O2 0.5135 0.2466 0.1398
O3 0.1398 0.5135 0.2466
O4 0.9235 0.0728 0.3027
O5 0.5761 0.2019 0.4284
O6 0.7466 0.0135 0.6398
O7 0.0728 0.3027 0.9235
O8 0.2019 0.4284 0.5761
O9 0.4284 0.5761 0.2019
O10 0.7019 0.0761 0.9284
O11 0.3644 0.2514 0.9879
O12 0.0135 0.6398 0.7466
O13 0.9879 0.3644 0.2514
O14 0.6398 0.7466 0.0135
O15 0.3027 0.9235 0.0728
O16 0.5728 0.4235 0.8027
O17 0.8027 0.5728 0.4235
O18 0.9284 0.7019 0.0761
O19 0.2514 0.9879 0.3644
O20 0.4235 0.8027 0.5728
O21 0.0761 0.9284 0.7019
O22 0.8644 0.4879 0.7514
O23 0.4879 0.7514 0.8644
O24 0.7514 0.8644 0.4879

---

Below is YU3 after structural relaxation, with properties calculated at the GGA-PBE level.

Mass density ... 14.42 g cm⁻³
Space group ... I4/mmm (139)
Raw total energy ... -9.510 eV per atom
Total magnetization ... 2.7 μB per formula unit

abc: 5.6953 5.6953 5.6953
'''

Throughout his poems, Wordsworth fixates on vision and sight as the vehicles through which individuals are transformed. As speakers move through the world, they see visions of great natural loveliness, which they capture in their memories. Later, in moments of darkness, the speakers recollect these visions, as in “I wandered lonely as a cloud.” Here, the speaker daydreams of former jaunts through nature, which “flash upon that inward eye / which is the bliss of solitude” (2122). The power of sight captured by our mind’s eye enables us to find comfort even in our darkest, loneliest moments. Elsewhere, Wordsworth describes the connection between seeing and experiencing emotion, as in “My heart leaps up” (1807), in which the speaker feels joy as a result of spying a rainbow across the sky. Detailed images of natural beauty abound in Wordsworth’s poems, including descriptions of daffodils and clouds, which focus on what can be seen, rather than touched, heard, or felt. In Book Fourteenth of The Prelude, climbing to the top of a mountain in Wales allows the speaker to have a prophetic vision of the workings of the mind as it thinks, reasons, and feels.